Request:
Next, work out how many lines further down have the word "data_LaNi2Ag2" in them; a number is enough.

Material:
<<<
No. 1
# CePmNiHg (PBE, optimized geometry)
data_CePmNiHg
_cell_length_a 5.175
_cell_length_b 5.175
_cell_length_c 5.175
_cell_angle_alpha 60.00
_cell_angle_beta 60.00
_cell_angle_gamma 60.00
_space_group_name_H-M_alt 'P 1'
_space_group_IT_number 1
loop_
_space_group_symop_operation_xyz
'x,y,z'
loop_
_atom_site_label
_atom_site_fract_x
_atom_site_fract_y
_atom_site_fract_z
Ce1 0.000 0.000 0.000
Pm1 0.500 0.500 0.500
Hg1 0.750 0.750 0.750
Ni1 0.250 0.250 0.250
# - Formation energy from the elements: -205 meV/atom
# - Raw total energy: -4.397 eV/atom
# - Magnetic moment: 0.78 Bohr magnetons per cell



No. 2
# LaNi2Ag2 (PBE, optimized geometry)
data_LaNi2Ag2
_cell_length_a 4.046
_cell_length_b 4.046
_cell_length_c 6.449
_cell_angle_alpha 71.72
_cell_angle_beta 71.72
_cell_angle_gamma 90.00
_space_group_name_H-M_alt 'P 1'
_space_group_IT_number 1
loop_
_space_group_symop_operation_xyz
'x,y,z'
loop_
_atom_site_label
_atom_site_fract_x
_atom_site_fract_y
_atom_site_fract_z
Ni1 0.598 0.598 0.804
Ni2 0.402 0.402 0.196
Ag1 0.750 0.250 0.500
Ag2 0.250 0.750 0.500
La1 0.000 0.000 0.000
# - Formation energy from the elements: -155 meV/atom
# - Raw total energy: -4.594 eV/atom
# - Magnetic moment: 0.00 Bohr magnetons per cell

~~~~~

# NaBe2B

Crystalline NaBe2B at its relaxed geometry (PBE, Alexandria).

Unit cell a=4.744 b=4.744 c=10.727 alpha=90.00 beta=90.00 gamma=90.00
Fractional coordinates of all 16 atoms:
Na 0.000 0.250 0.375
Na 0.000 0.750 0.625
Na 0.500 0.250 0.125
Na 0.500 0.750 0.875
Be 0.000 0.000 0.000
Be 0.000 0.500 0.000
Be 0.250 0.250 0.750
Be 0.250 0.750 0.250
Be 0.500 0.000 0.500
Be 0.500 0.500 0.500
Be 0.750 0.250 0.750
Be 0.750 0.750 0.250
B 0.000 0.250 0.875
B 0.000 0.750 0.125
B 0.500 0.250 0.625
B 0.500 0.750 0.375

Values from the calculation:
DOS at the Fermi energy, states/eV/f.u.: 0.122
Electronic total energy, eV/atom: -3.432
ΔE_f, eV per atom: 0.430

~~~~~

1.
PuTh5Bi5: optimized geometry, GGA-PBE.

```
PuTh5Bi5
1.0
6.408 0.000 0.000
-3.204 7.116 -0.086
0.000 -2.765 8.492
Pu Th Bi
1 5 5
direct
0.000 0.000 0.000
0.662 0.324 0.343
0.644 0.287 0.786
0.000 0.000 0.500
0.356 0.713 0.214
0.338 0.676 0.657
0.821 0.642 0.150
0.835 0.670 0.673
0.500 0.000 0.000
0.165 0.330 0.327
0.179 0.358 0.850
```

Output
Volume = 35.1 Å³ per atom
Uncorrected energy = -6.76 eV/atom
SG = C2/m (12)



2.
Fe3HCl: optimized geometry, GGA-PBE.

```
Fe3HCl
1.0
-0.242 2.851 2.567
-1.401 -2.460 2.600
3.571 -0.772 1.194
H Fe Cl
1 3 1
direct
0.000 0.000 0.000
0.000 0.500 0.000
0.000 0.000 0.500
0.500 0.000 0.000
0.500 0.500 0.500
```

Output
Polymorph energy (0 for the lowest one) = 0.0 meV/atom
Volume = 11.4 Å³ per atom
Uncorrected energy = -5.61 eV/atom
SG = Pm-3m (221)



3.
ZrScH3: optimized geometry, GGA-PBE.

```
ZrScH3
1.0
3.724 0.000 0.000
0.000 3.724 0.000
0.000 0.000 3.724
Sc H Zr
1 3 1
direct
0.000 0.000 0.000
0.000 0.500 0.000
0.000 0.000 0.500
0.500 0.000 0.000
0.500 0.500 0.500
```

Output
Polymorph energy (0 for the lowest one) = 323.6 meV/atom
Volume = 10.3 Å³ per atom
Uncorrected energy = -5.14 eV/atom
SG = Pm-3m (221)



4.
Y3ErTe4: optimized geometry, GGA-PBE.

```
Y3ErTe4
1.0
4.306 0.000 0.000
0.000 7.570 -0.034
0.000 -2.419 7.173
Y Er Te
3 1 4
direct
0.000 0.000 0.500
0.500 0.500 0.500
0.000 0.500 0.000
0.500 0.000 0.000
0.000 0.247 0.247
0.500 0.751 0.249
0.000 0.753 0.753
>>>

Completed:
1